Material
____________
No. 1
Structure and computed X-ray diffraction stick pattern of Mg2C3ClO15 (a structure optimized by DFT (GGA-PBE); copper Kα).
Lines closer than 0.1° are merged.

The 10 most intense peaks (10 to 80 degrees two-theta), by angle:
two_theta	I (rel.)	(hkl)
15.02	35	0 1 2
16.85	46	1 0 4
25.88	100	1 1 3
26.41	64	1 0 10
26.53	51	0 0 12
28.37	70	1 1 6
38.89	25	1 2 2
40.27	55	1 2 5
44.92	65	2 1 10
46.55	32	0 2 16

Atomic structure:
```
data_Mg2C3ClO15
_chemical_formula_sum 'Mg12 C18 Cl6 O90'
_cell_length_a 7.1217
_cell_length_b 7.1217
_cell_length_c 40.3126
_cell_angle_alpha 90.00
_cell_angle_beta 90.00
_cell_angle_gamma 120.00
_space_group_name_H-M_alt 'R -3 c'
_space_group_IT_number 167
_space_group_name_Hall '-R 3 2"c'
loop_
_atom_site_label
_atom_site_type_symbol
_atom_site_fract_x
_atom_site_fract_y
_atom_site_fract_z
Mg1 Mg 0.0000 0.0000 0.1946
C1 C 0.0000 0.3185 0.2500
Cl1 Cl 0.0000 0.0000 0.0000
O1 O 0.0000 0.4978 0.2500
O2 O 0.0408 0.2527 0.2770
O3 O 0.0574 0.2694 0.6633
```



No. 2
Structure and computed X-ray diffraction stick pattern of CeAgP2Se6 (a structure optimized by DFT (GGA-PBE); copper Kα).
Lines closer than 0.1° are merged.

The 10 most intense peaks (10 to 80 degrees two-theta), by angle:
two_theta	I (rel.)	(hkl)
29.56	30	1 0 2
29.82	100	0 2 2
30.09	40	2 1 -1
30.63	68	2 1 -3
31.93	64	1 1 2
32.47	42	2 0 -4
32.70	25	1 1 -4
36.09	59	0 0 4
36.69	33	2 2 -1
55.74	33	4 1 -4

Atomic structure:
```
data_CeAgP2Se6
_chemical_formula_sum 'Ce2 Ag2 P4 Se12'
_cell_length_a 6.763
_cell_length_b 7.501
_cell_length_c 11.856
_cell_angle_alpha 90.00
_cell_angle_beta 122.81
_cell_angle_gamma 90.00
_space_group_name_H-M_alt 'P 1 c 1'
_space_group_IT_number 7
_space_group_name_Hall 'P -2yc'
loop_
_atom_site_label
_atom_site_type_symbol
_atom_site_fract_x
_atom_site_fract_y
_atom_site_fract_z
Ce1 Ce 0.000 0.138 0.000
Ag1 Ag 0.573 0.322 0.484
P1 P 0.656 0.144 0.183
P2 P 0.914 0.359 0.310
Se1 Se 0.041 0.462 0.187
Se2 Se 0.188 0.235 0.504
Se3 Se 0.409 0.268 0.986
Se4 Se 0.488 0.041 0.287
Se5 Se 0.684 0.453 0.830
Se6 Se 0.883 0.072 0.683
```



No. 3
Structure and computed X-ray diffraction stick pattern of Na6ScNb3Si6O24 (a structure optimized by DFT (GGA-PBE); copper Kα).
Lines closer than 0.1° are merged.

The 10 most intense peaks (10 to 80 degrees two-theta), by angle:
two_theta	I (rel.)	(hkl)
13.68	26	1 0 -1
19.39	65	-1 1 1
19.52	100	2 -1 0
22.81	35	-2 1 1
27.56	27	2 0 -2
27.92	20	2 -2 2
30.90	54	1 1 1
31.19	31	1 -2 3
33.99	55	0 3 -2
34.25	25	3 -3 1

Atomic structure:
```
data_Na6ScNb3Si6O24
_chemical_formula_sum 'Na6 Sc1 Nb3 Si6 O24'
_cell_length_a 9.085
_cell_length_b 9.094
_cell_length_c 9.098
_cell_angle_alpha 119.60
_cell_angle_beta 90.65
_cell_angle_gamma 119.50
_space_group_name_H-M_alt 'P 1'
_space_group_IT_number 1
_space_group_name_Hall 'P 1'
loop_
_atom_site_label
_atom_site_type_symbol
_atom_site_fract_x
_atom_site_fract_y
_atom_site_fract_z
Na1 Na 0.000 0.000 0.000
Na2 Na 0.093 0.516 0.274
Na3 Na 0.191 0.005 0.523
Na4 Na 0.326 0.641 0.957
Na5 Na 0.587 0.507 0.762
Na6 Na 0.856 0.393 0.555
Sc1 Sc 0.238 0.798 0.692
Nb1 Nb 0.445 0.221 0.325
Nb2 Nb 0.731 0.796 0.198
Nb3 Nb 0.940 0.218 0.831
Si1 Si 0.044 0.713 0.011
Si2 Si 0.131 0.297 0.509
Si3 Si 0.340 0.298 0.001
Si4 Si 0.543 0.003 0.507
Si5 Si 0.631 0.013 0.012
Si6 Si 0.830 0.714 0.516
O1 O 0.032 0.522 0.002
O2 O 0.070 0.707 0.834
O3 O 0.092 0.299 0.688
O4 O 0.136 0.478 0.511
O5 O 0.164 0.311 0.005
O6 O 0.224 0.931 0.188
O7 O 0.292 0.090 0.820
O8 O 0.311 0.297 0.501
O9 O 0.355 0.847 0.507
O10 O 0.377 0.286 0.175
O11 O 0.452 0.862 0.843
O12 O 0.503 0.505 0.021
O13 O 0.538 0.182 0.505
O14 O 0.592 0.885 0.331
O15 O 0.595 0.149 0.194
O16 O 0.658 0.519 0.506
O17 O 0.665 0.858 0.029
O18 O 0.726 0.139 0.681
O19 O 0.782 0.721 0.345
O20 O 0.819 0.172 0.003
O21 O 0.862 0.706 0.029
O22 O 0.881 0.934 0.697
O23 O 0.960 0.073 0.334
O24 O 0.998 0.696 0.510
```



No. 4
Structure and computed X-ray diffraction stick pattern of TmRh (a structure optimized by DFT (GGA-PBE); copper Kα).
____________
Wanted
Please set down the entries earlier on from the line with "29.82" to the end character by character.
Solution
29.82	100	0 2 2
30.09	40	2 1 -1
30.63	68	2 1 -3
31.93	64	1 1 2
32.47	42	2 0 -4
32.70	25	1 1 -4
36.09	59	0 0 4
36.69	33	2 2 -1
55.74	33	4 1 -4

Atomic structure:
```
data_CeAgP2Se6
_chemical_formula_sum 'Ce2 Ag2 P4 Se12'
_cell_length_a 6.763
_cell_length_b 7.501
_cell_length_c 11.856
_cell_angle_alpha 90.00
_cell_angle_beta 122.81
_cell_angle_gamma 90.00
_space_group_name_H-M_alt 'P 1 c 1'
_space_group_IT_number 7
_space_group_name_Hall 'P -2yc'
loop_
_atom_site_label
_atom_site_type_symbol
_atom_site_fract_x
_atom_site_fract_y
_atom_site_fract_z
Ce1 Ce 0.000 0.138 0.000
Ag1 Ag 0.573 0.322 0.484
P1 P 0.656 0.144 0.183
P2 P 0.914 0.359 0.310
Se1 Se 0.041 0.462 0.187
Se2 Se 0.188 0.235 0.504
Se3 Se 0.409 0.268 0.986
Se4 Se 0.488 0.041 0.287
Se5 Se 0.684 0.453 0.830
Se6 Se 0.883 0.072 0.683
```



No. 3
Structure and computed X-ray diffraction stick pattern of Na6ScNb3Si6O24 (a structure optimized by DFT (GGA-PBE); copper Kα).
Lines closer than 0.1° are merged.

The 10 most intense peaks (10 to 80 degrees two-theta), by angle:
two_theta	I (rel.)	(hkl)
13.68	26	1 0 -1
19.39	65	-1 1 1
19.52	100	2 -1 0
22.81	35	-2 1 1
27.56	27	2 0 -2
27.92	20	2 -2 2
30.90	54	1 1 1
31.19	31	1 -2 3
33.99	55	0 3 -2
34.25	25	3 -3 1

Atomic structure:
```
data_Na6ScNb3Si6O24
_chemical_formula_sum 'Na6 Sc1 Nb3 Si6 O24'
_cell_length_a 9.085
_cell_length_b 9.094
_cell_length_c 9.098
_cell_angle_alpha 119.60
_cell_angle_beta 90.65
_cell_angle_gamma 119.50
_space_group_name_H-M_alt 'P 1'
_space_group_IT_number 1
_space_group_name_Hall 'P 1'
loop_
_atom_site_label
_atom_site_type_symbol
_atom_site_fract_x
_atom_site_fract_y
_atom_site_fract_z
Na1 Na 0.000 0.000 0.000
Na2 Na 0.093 0.516 0.274
Na3 Na 0.191 0.005 0.523
Na4 Na 0.326 0.641 0.957
Na5 Na 0.587 0.507 0.762
Na6 Na 0.856 0.393 0.555
Sc1 Sc 0.238 0.798 0.692
Nb1 Nb 0.445 0.221 0.325
Nb2 Nb 0.731 0.796 0.198
Nb3 Nb 0.940 0.218 0.831
Si1 Si 0.044 0.713 0.011
Si2 Si 0.131 0.297 0.509
Si3 Si 0.340 0.298 0.001
Si4 Si 0.543 0.003 0.507
Si5 Si 0.631 0.013 0.012
Si6 Si 0.830 0.714 0.516
O1 O 0.032 0.522 0.002
O2 O 0.070 0.707 0.834
O3 O 0.092 0.299 0.688
O4 O 0.136 0.478 0.511
O5 O 0.164 0.311 0.005
O6 O 0.224 0.931 0.188
O7 O 0.292 0.090 0.820
O8 O 0.311 0.297 0.501
O9 O 0.355 0.847 0.507
O10 O 0.377 0.286 0.175
O11 O 0.452 0.862 0.843
O12 O 0.503 0.505 0.021
O13 O 0.538 0.182 0.505
O14 O 0.592 0.885 0.331
O15 O 0.595 0.149 0.194
O16 O 0.658 0.519 0.506
O17 O 0.665 0.858 0.029
O18 O 0.726 0.139 0.681
O19 O 0.782 0.721 0.345
O20 O 0.819 0.172 0.003
O21 O 0.862 0.706 0.029
O22 O 0.881 0.934 0.697
O23 O 0.960 0.073 0.334
O24 O 0.998 0.696 0.510
```



No. 4
Structure and computed X-ray diffraction stick pattern of TmRh (a structure optimized by DFT (GGA-PBE); copper Kα).